Tuesday, March 4, 2014

Laparoscopy in the Diagnosis of CPP

Laparoscopy in the Diagnosis of Chronic Pelvic Pain

Deborah A. Metzger, PhD, MD

(From Chronic Pelvic Pain: An Integrated Approach, eds Steege, Metzger, Levy)

"Clear documentation of the laparoscopic findings will allow the operator to plan the surgical procedures to be performed.   Photographic and written documentation in the operative record allows the surgeon to refer back to the procedure, when planning additional treatment or if another  laparoscopic procedure is performed subsequently.

             It is important that the exam be conducted in a standardized and thorough manner.  Soon after the laparoscope and accessory trocar are inserted, the omentum and bowel directly beneath the trocar should be inspected for Veress needle and trocar injury.  First, a general survey of the pelvis is undertaken so that all of the pelvic structures are in view of the laparoscope.  The blunt probe is used to gently manipulate the organs of interest, in particular areas with scarring or areas which correlate with pelvic tenderness.    The laparoscope is then moved closer to the left adnexa and the ovary is lifted, if possible, and the pelvic sidewall is carefully inspected.  The ovary is then released and the laparoscope then directed over the anterior cul de sac and swept over to the right adnexa.  Again the right ovary is elevated and the pelvic sidewall is carefully inspected.  The posterior borad ligaments and cul de sac are then carefully evaluated.  The surface of the bowel should be examined next, followed by an inspection of the appendix, liver, and diaphragm. 

            The examiner’s efforts should be concentrated primarily in the region of the patient’s pain.  For example, when a pelvic examination suggests that there is tenderness in the right adnexa, most of the laparoscopic effort should be concentrated there.  However, the examiner should also be receptive to other possible abnormalities that could contribute to the pain or
which may be one of several pain sources of the patient.

            Visual records via still photographs or video will aid your post-operative discussion with the family. Patients often benefit immensely when they can “see” what was responsible for their pain or, alternatively,  may be reassured if their pelvis is normal.  Many surgeons give the patient a copy of the photographic and written record.

### Someone pasted crystal structures at this point
'''
LiCo2O2F3 | PBE+U | optimized geometry

Results
* calculated formation energy: -1913 meV per atom
* space group: No. 63

Unit cell a=5.2964 b=5.2964 c=10.3534 alpha=90.00 beta=90.00 gamma=139.70
Positions (direct):
Li (0.8270, 0.1730, 0.2500)
Li (0.1730, 0.8270, 0.7500)
Co (0.8536, 0.1464, 0.5578)
Co (0.8536, 0.1464, 0.9422)
Co (0.1464, 0.8536, 0.0578)
Co (0.1464, 0.8536, 0.4422)
O (0.6758, 0.3242, 0.4533)
O (0.6758, 0.3242, 0.0467)
O (0.3242, 0.6758, 0.9533)
O (0.3242, 0.6758, 0.5467)
F (0.9602, 0.0398, 0.1180)
F (0.9602, 0.0398, 0.3820)
F (0.7630, 0.2370, 0.7500)
F (0.2370, 0.7630, 0.2500)
F (0.0398, 0.9602, 0.6180)
F (0.0398, 0.9602, 0.8820)

~~~~~

No. 1
# La3S3N, relaxed, DFT PBE
# ΔH_f (0 K): -2.315 eV/atom
data_La3S3N
_cell_length_a 12.228
_cell_length_b 4.173
_cell_length_c 13.257
_cell_angle_alpha 90.00
_cell_angle_beta 90.00
_cell_angle_gamma 90.00
_space_group_name_H-M_alt 'P n m a'
_space_group_IT_number 62
loop_
_space_group_symop_operation_xyz
'x,y,z'
'-x,-y,-z'
'-x+1/2,-y,z+1/2'
'x+1/2,y,-z+1/2'
'x+1/2,-y+1/2,-z+1/2'
'-x+1/2,y+1/2,z+1/2'
'-x,y+1/2,-z'
'x,-y+1/2,z'
loop_
_atom_site_label
_atom_site_type_symbol
_atom_site_fract_x
_atom_site_fract_y
_atom_site_fract_z
La1 La 0.033 0.250 0.152
La2 La 0.095 0.250 0.625
La3 La 0.230 0.250 0.870
S1 S 0.072 0.250 0.393
S2 S 0.146 0.750 0.002
S3 S 0.234 0.750 0.706
N1 N 0.055 0.250 0.798

***

No. 2
# Sr2YTi2TlO7, relaxed, DFT PBE
# ΔH_f (0 K): -3.025 eV/atom
data_Sr2YTi2TlO7
_cell_length_a 3.910
_cell_length_b 3.910
_cell_length_c 12.829
_cell_angle_alpha 90.00
_cell_angle_beta 90.00
_cell_angle_gamma 90.00
_space_group_name_H-M_alt 'P 4/m m m'
_space_group_IT_number 123
_space_group_name_Hall '-P 4 2'
loop_
_atom_site_label
_atom_site_type_symbol
_atom_site_fract_x
_atom_site_fract_y
_atom_site_fract_z
Sr1 Sr 0.000 0.000 0.186
Y1 Y 0.000 0.000 0.500
Ti1 Ti 0.500 0.500 0.362
Tl1 Tl 0.500 0.500 0.000
O1 O 0.000 0.000 0.000
O2 O 0.000 0.500 0.385
O3 O 0.500 0.500 0.213

***

No. 3
# CsGa7, relaxed, DFT PBE
# ΔH_f (0 K): -0.108 eV/atom
data_CsGa7
_cell_length_a 6.7712
_cell_length_b 6.7712
_cell_length_c 29.2468
_cell_angle_alpha 90.00
_cell_angle_beta 90.00
_cell_angle_gamma 120.00
_space_group_name_H-M_alt 'R -3 m'
_space_group_IT_number 166
_space_group_name_Hall '-R 3 2"'
loop_
_atom_site_label
_atom_site_type_symbol
_atom_site_fract_x
_atom_site_fract_y
_atom_site_fract_z
Cs1 Cs 0.0000 0.0000 0.1948
Ga1 Ga 0.0000 0.0000 0.4552
Ga2 Ga 0.0542 0.5271 0.7424
Ga3 Ga 0.0664 0.5332 0.3513

***

No. 4
# AcEuMg2, relaxed, DFT PBE
# ΔH_f (0 K): -0.077 eV/atom
data_AcEuMg2
_cell_length_a 8.167
_cell_length_b 8.167
_cell_length_c 8.167
_cell_angle_alpha 90.00
_cell_angle_beta 90.00
_cell_angle_gamma 90.00
_space_group_name_H-M_alt 'F m -3 m'
_space_group_IT_number 225
_space_group_name_Hall '-F 4 2 3'
loop_
_atom_site_label
_atom_site_type_symbol
_atom_site_fract_x
_atom_site_fract_y
_atom_site_fract_z
Ac1 Ac 0.000 0.000 0.000
Eu1 Eu 0.000 0.000 0.500
Mg1 Mg 0.250 0.250 0.250

***
'''

Specific conditions commonly found in women with chronic pelvic pain will now be reviewed.

While typical endometriosis implants appear as blue-black “powder-burn” implants often surrounded by stellate scarring, the atypical lesions are less apparent visually but more active physiologically as determined by their production of prostaglandins (15).  Atypical implants may  appear as reddish vesicles, clear vesicles, slight irregularities on the surface of the peritoneum or white patches.  Detection of subtle non- pigmented lesions requires laparoscopic inspection at close range (1-2 cm) or inspection of the surface at moderately close range utilizing different lighting angles.

Teenagers are more likely to have atypical implants, particularly the nonpigmented type (16).  Sometimes an extraordinary effort may be required to make a diagnosis including re-cuts of peritoneal biopsies that are negative for endometriosis at first glance.  Early detection of endometriosis has an important impact on treatment selection.

            Sometimes endometriosis implants are buried under scar tissue that develops as a result of the natural progress of the disease or from previous superficial attempts at ablation.  Palpation of these areas with the manipulating probe will allow detection of occult nodules.  Resection of the overlying scar tissue may be necessary in order to discover and remove underlying implants and fibrosis.

Here the page breaks off for records of crystals:
- - -
No. 1
Material: K5BS4O16
Method: DFT, PBE-GGA
State: relaxed

Cell lengths 10.103, 10.103, 16.530 Å; angles 90.00, 90.00, 90.00 degrees
Space group P4_1 (No. 76)
Inequivalent atoms, fractional coordinates:
K1 0.005 0.256 0.066 [4 per cell]
K2 0.084 0.846 0.217 [4 per cell]
K3 0.175 0.647 0.000 [4 per cell]
K4 0.253 0.547 0.421 [4 per cell]
K5 0.327 0.595 0.771 [4 per cell]
B1 0.015 0.493 0.248 [4 per cell]
S1 0.011 0.770 0.783 [4 per cell]
S2 0.100 0.343 0.864 [4 per cell]
S3 0.119 0.400 0.613 [4 per cell]
S4 0.276 0.514 0.207 [4 per cell]
O1 0.007 0.415 0.680 [4 per cell]
O2 0.017 0.644 0.723 [4 per cell]
O3 0.022 0.882 0.726 [4 per cell]
O4 0.027 0.707 0.395 [4 per cell]
O5 0.070 0.479 0.818 [4 per cell]
O6 0.081 0.490 0.547 [4 per cell]
O7 0.105 0.261 0.590 [4 per cell]
O8 0.115 0.234 0.326 [4 per cell]
O9 0.126 0.759 0.837 [4 per cell]
O10 0.156 0.511 0.271 [4 per cell]
O11 0.162 0.253 0.805 [4 per cell]
O12 0.191 0.388 0.928 [4 per cell]
O13 0.247 0.435 0.649 [4 per cell]
O14 0.249 0.415 0.144 [4 per cell]
O15 0.283 0.650 0.175 [4 per cell]
O16 0.391 0.479 0.258 [4 per cell]

Properties
For the formation energy, the calculation gives -2.24 eV/atom. The value obtained for the total magnetization is 0.00 μB/atom. The calculation puts the total energy at -5.96 eV/atom. As for the density: 2.33 g/cm3.



No. 2
Material: LiIn2
Method: DFT, PBE-GGA
State: relaxed

Cell lengths 10.603, 10.603, 10.603 Å; angles 90.00, 90.00, 90.00 degrees
Space group Fd-3m (No. 227, origin choice 2)
Inequivalent atoms, fractional coordinates:
Li1 0.000 0.000 0.000 [16 per cell]
In1 0.020 0.020 0.730 [32 per cell]

Properties
For the formation energy, the calculation gives -0.03 eV/atom. The calculation puts the total energy at -2.50 eV/atom. As for the density: 5.27 g/cm3.



No. 3
Material: BaCaTi4O12
Method: DFT, PBE-GGA
State: relaxed

Cell lengths 5.547, 5.547, 7.830 Å; angles 90.00, 90.00, 90.00 degrees
Space group P4/mmm (No. 123)
Inequivalent atoms, fractional coordinates:
Ba1 0.000 0.000 0.000 [1 per cell]
Ca1 0.500 0.500 0.500 [1 per cell]
Ti1 0.000 0.500 0.253 [4 per cell]
O1 0.000 0.500 0.000 [2 per cell]
O2 0.000 0.500 0.500 [2 per cell]
O3 0.255 0.255 0.258 [8 per cell]

Properties
For the formation energy, the calculation gives -2.95 eV/atom. The value obtained for the total magnetization is 0.22 μB/atom. The calculation puts the total energy at -7.77 eV/atom. As for the density: 3.87 g/cm3.
- - -
Here the page continues:

            Bowel endometriosis may be difficult to diagnose preoperatively even in the presence of rectal bleeding, dyschezia or deep dysparunia.  Only 20% of women with bowel endometriosis can be identified by either colonoscopy and/or barium enema (Redwine and Sharpe, unpublished). However, if a patient has suspected bowel involvement, there are several techniques which may be helpful in improving the diagnostic yield.  Since most of bowel endometriosis is found associated with the rectosigmoid, a careful examination may yield evidence of scarring and distortion of the serosa of the bowel.  Palpation of any abnormalities with the manipulating probe allows assessment of the extent of the lesion.  Inserting ring forceps or a rectal probe into the rectum and gradually withdrawing it, may disclose retroperitoneal nodules that would otherwise go undetected.  Similarly, the pelvic floor tissues can be palpated in detail using a recto-vaginal examination a blunt laparoscopic probe.   Finally, the diagnosis of significant bowel endometriosis may require a laparotomy in order to run the bowel.         


            Not all adhesions which are found at the time of a laparoscopy for CPP are responsible for the patient’s pain.  In general, filmy adhesions are not associated with chronic pelvic pain, although it is tempting to use their presence as an
explanation.   In contrast, dense adhesions which distort anatomy and/or function may be a significant source of pain.  Careful pelvic mapping prior to the laparoscopy as well as a correlation of laparoscopic findings with a description of the patient’s pain characteristics may allow a certain degree of discrimination.  When the patient has localized pain and the only findings are adhesions limited to the anatomic location of the pain, it is highly probable that the adhesions contribute significantly to the pain.  In other patients, the judicious use of laparoscopy under conscious sedation will allow a more definitive diagnosis.


            Direct inguinal, indirect inguinal and femoral hernias are seldom visible in women at the time of laparoscopy as indentations or defects of the peritoneum.  Moreover, hernias may be difficult to palpate externally, making diagnosis in women problematic (17).  The presence of hernias is suspected on the basis of a vaginal exam associated with inguinal tenderness which reproduces the patient’s pain.  A retroperitoneal laparoscopic examination by an experienced general surgeon confirms the diagnosis and allows treatment at the same time.  

Pelvic congestion

            Dilated ovarian and pelvic veins, when present in the patient with ovarian tenderness and postcoital ache, are diagnostic of pelvic congestion.  However, laparoscopy is not a definitive method of diagnosing pelvic varicosities since Trendelenberg positioning enhances venous drainage and minimizes the size of the veins.  Transvaginal ultrasound and transcervical venography are less invasive and a more definitive means of diagnosing this condition.  Testing should be preferably performed prior to the laparoscopy so that appropriate treatment can be instituted.

Pathology which is rarely associated with CPP

            Some pathology is often encountered during laparoscopic examinations for CPP but is only rarely responsible for chronic pelvic pain.  Findings such as functional ovarian cysts, cysts of Morgagni, filmy adhesions and peritoneal windows (Master-Allen syndrome) should be viewed as “red herrings” which may distract attention from the real reason for pain.  More widespread use of laparoscopy under conscious sedation (Chapter 34) will provide additional information regarding the
spectrum of sources of pelvic pain."     http://www.google.com/url?sa=t&rct=j&q=&esrc=s&source=web&cd=51&cad=rja&ved=0CCYQFjAAODI&url=http%3A%2F%2Fwww.harmonywomenshealth.com%2F.%255CDocuments%255CConditions%255CChronic%2520Pelvic%2520Pain%255CLaparoscopy%2520in%2520the%2520diagnosis%2520of%2520CPP.doc&ei=A3IWU-_xDoKTkQeP1oGgBA&usg=AFQjCNGPToQuhV18bDT6hwaTZpg8uCe_mg&sig2=0dxGzSt39tTC99yxWZ9u5A          

***Please note that ovarian cysts can rupture and cause pain and endometriosis is often found behind peritoneal windows. "Peritoneal pockets are an unclear pathology Pockets in the peritoneum. They can be large and deep. Peritoneal pockets are believed to be associated with endometriosis
Excision is believed to be the right therapy." http://www.gynsurgery.org/.../end.../types-of-endometriosis/